Hello! I'm senior undergrad student in Asia. I will start Master program in my university, and then I will apply for Ph.d program in USA (maybe in 2024 fall).
But I want to check my profile whether I took sufficient math courses and I want to get advise about school suggestion.
Undergrad Institution: QS 80~90 Asian University GPA: 3.98/4.00 (total, 4.44/4.5), 4.00/4.00 (major 4.48/4.5)
Type of Student: International
GRE General Test:
Q: 154 V: 168 W: 4 TOEFL: 28/26/23/26 (Total 105)
Calculated crystals, as found in the file.
- - -
No. 1
First-principles (PBE+U) data for a relaxed CaCrF6 crystal, as listed in Materials Project.

The structure belongs to space group R-3 (No. 148, hexagonal axes); the cell edges are 5.5428, 5.5428 and 14.3891 Å and the angles 90.00°, 90.00° and 120.00°. The inequivalent atoms are Ca at (0.0000, 0.0000, 0.0000), Cr at (0.0000, 0.0000, 0.5000) and F at (0.0382, 0.6155, 0.2417).



No. 2
First-principles (PBE+U) data for a relaxed Mg2Nb2VO8 crystal, as listed in Materials Project.

The structure belongs to space group C2/c (No. 15); the cell edges are 19.262, 6.048 and 5.234 Å and the angles 90.00°, 90.50° and 90.00°. The inequivalent atoms are Mg at (0.228, 0.143, 0.253), Nb at (0.117, 0.332, 0.755), V at (0.000, 0.149, 0.250), O at (0.059, 0.126, 0.906), O at (0.072, 0.388, 0.419), O at (0.188, 0.395, 0.042) and O at (0.192, 0.146, 0.616).



Number 1: formation energy from the elements -3.2903 eV/atom. Number 2: formation energy from the elements -2.9492 eV/atom.

~~~~~

Record 1
VASP calculation (r²SCAN) on a geometry-optimized NdNi2 structure.

Properties
raw total energy	-18.06	eV/atom
calculated density	9.12	Mg/m³
total moment	0.00	μB/atom

Unit cell a=5.1265 b=5.1265 c=5.1265 alpha=60.00 beta=60.00 gamma=60.00
Fractional coordinates of all 6 atoms:
1 Nd 0.1250 0.1250 0.1250
2 Nd 0.8750 0.8750 0.8750
3 Ni 0.0000 0.5000 0.5000
4 Ni 0.5000 0.0000 0.5000
5 Ni 0.5000 0.5000 0.0000
6 Ni 0.5000 0.5000 0.5000


Record 2
VASP calculation (r²SCAN) on a geometry-optimized NdNiP structure.

Properties
raw total energy	-18.05	eV/atom
calculated density	7.10	Mg/m³
total moment	0.00	μB/atom

Unit cell a=3.9481 b=3.9481 c=16.2199 alpha=90.00 beta=90.00 gamma=120.00
Fractional coordinates of all 12 atoms:
1 Nd 0.0000 0.0000 0.0000
2 Nd 0.0000 0.0000 0.2500
3 Nd 0.0000 0.0000 0.5000
4 Nd 0.0000 0.0000 0.7500
5 Ni 0.3333 0.6667 0.1250
6 Ni 0.3333 0.6667 0.3750
7 Ni 0.6667 0.3333 0.6250
8 Ni 0.6667 0.3333 0.8750
9 P 0.3333 0.6667 0.6249
10 P 0.3333 0.6667 0.8751
11 P 0.6667 0.3333 0.1249
12 P 0.6667 0.3333 0.3751


Record 3
VASP calculation (r²SCAN) on a geometry-optimized Nd12Ni6Pb structure.

Properties
raw total energy	-25.62	eV/atom
calculated density	7.49	Mg/m³
total moment	0.00	μB/atom

Unit cell a=8.7052 b=8.7052 c=8.7052 alpha=109.47 beta=109.47 gamma=109.47
Fractional coordinates of all 19 atoms:
1 Nd 0.1213 0.8128 0.3085
2 Nd 0.1872 0.3085 0.4956
3 Nd 0.1872 0.6915 0.8787
4 Nd 0.3085 0.1213 0.8128
5 Nd 0.3085 0.4956 0.1872
6 Nd 0.4956 0.1872 0.3085
7 Nd 0.5044 0.8128 0.6915
8 Nd 0.6915 0.5044 0.8128
9 Nd 0.6915 0.8787 0.1872
10 Nd 0.8128 0.3085 0.1213
11 Nd 0.8128 0.6915 0.5044
12 Nd 0.8787 0.1872 0.6915
13 Ni 0.1199 0.6199 0.5000
14 Ni 0.3801 0.5000 0.8801
15 Ni 0.5000 0.1199 0.6199
16 Ni 0.5000 0.8801 0.3801
17 Ni 0.6199 0.5000 0.1199
18 Ni 0.8801 0.3801 0.5000
19 Pb 0.0000 0.0000 0.0000


Record 4
VASP calculation (r²SCAN) on a geometry-optimized NdNiRu structure.

Properties
raw total energy	-22.52	eV/atom
calculated density	9.78	Mg/m³
- - -
Programs Applying: Statistics Ph.d
Research Experience: 1 year of Research Assistant in computational neuroscience lab whose research topic is to make predictive models from fMRI image data using ML/Deep Learning techniques (such as LASSO or LOOCV). I helped statistical analysis in this lab, but I didn't make publications. I learned and did mediation analysis, ML techniques, dimensionality reduction techniques, and some Matlab and Python skills.
Pertinent Activities or Jobs: 1 .5 year academic club in psychology department. I did research in this club and I was exposed and fascinated a lot of statistical methods from this club. Then, I decided to major statistics and mathematics.
LOR: not dediced yet, maybe get stat professors in my university. I did good result(e.g rank 1 or 2) these professors' classes
Math/Statistics Grades:
Math courses:
Calculus 1, 2 (A+/A+)
Linear Algebra (A+, computation-based)
Set Theory (A+)
Analysis 1, 2 (A+/A+)
Advanced Linear Algebra (A+, proof-based)
Differential Equations (A)
Partial Differential Equations (A+)
Topology 1 (A+, Point-set topology)
Topology 2 (A+, Algebraic Topology)
Numerical Analysis (A+)
Numerical ODEs (A+)
Combinatorics (A+)
Probability Theory(A+, undergrad, measure-based)
Real Analysis (A+, Grad Lebesque Measure Theory + Some additional Functional Analysis topics)
=> Total 16 courses, 4.00/4.00
Statistics courses:
Intro to Statistics (A+)
Mathematical Statistics 1, 2 (A+/A+)
Regression analysis (A+)
Statistical Programming (A+, using R)
Time Series Analysis (A+)
Statistical Simulation (A+)
Categorical Analysis (A+)
Experimental Design (A+)
Multivariate Statistical Analysis (A+)
Stochastic Process (A+)
Machine Learning (A+)
Bayesian Analysis (A+)
Nonparametric Statistical Analysis (A+)
Advanced Mathematical Statistics (A+, Grad level Casella & Berger)
Advanced Regression Analysis (A+, Grad level)
=> Total 15 courses, 4.00/4.00
1. did I take sufficient math courses? compared to other international students.
Even though I majored mathematics, I did not take abstract algebra, number theory, or differential geometry because these things are quiet irrelevant with statistics. So I avoid these things. is my math coursework okay in terms of the number of courses and quality (e.g. proof-based, difficulty)?
2. which school can I target?
Maybe I will publish two papers during master program. Considering my coursework, GRE, TOEFL, where can I target schools? I'm looking for NCSU, Penn state, Iowa state etc...but my school has no students who get admission there. But my profile is pretty good in my university.
Help me! @Stat Assistant Professor and @bayessays!